File >
Molecular formula: H17O9
Method: DFT, ωB97M-V/def2-TZVPD

## Properties
HOMO-LUMO gap, eV: 9.5
Net charge: -1

```
26
Properties=species:S:1:pos:R:3:forces:R:3
O -0.293 -4.100 0.799 0.2 -0.5 0.2
H -0.306 2.222 -1.378 0.3 -0.2 0.2
H -1.591 1.230 1.862 -0.4 -0.2 -0.2
O 1.308 3.096 -0.501 0.3 0.3 -0.5
H 1.987 2.382 -0.413 -0.4 0.0 0.4
O 0.666 -0.752 0.249 -0.1 0.2 0.5
H 0.425 -0.952 1.161 -0.2 -0.2 -0.1
H -0.120 0.736 -1.010 0.0 0.0 0.2
O 3.001 -1.650 -1.768 -0.1 0.8 0.9
H 1.410 0.122 0.471 1.0 0.0 -0.5
H 3.617 -1.301 -1.106 0.6 -0.4 -0.3
O -1.844 1.013 2.765 0.4 0.1 0.6
H 0.283 -3.398 0.475 -0.3 0.3 0.0
H 2.261 -1.147 -1.388 -0.6 -0.4 -0.4
O 2.402 0.925 0.620 -0.6 -0.4 0.2
H -0.675 -1.525 -1.923 -0.6 -0.2 -0.5
H 2.326 1.075 1.571 0.3 0.2 -0.2
O -0.777 1.378 -1.305 0.0 0.8 -0.4
H -2.652 0.499 2.707 0.0 0.1 -0.4
H 0.849 3.018 0.338 0.0 0.0 0.1
O -3.093 1.133 -0.077 -0.2 0.5 0.7
H -2.223 1.299 -0.517 -0.5 -0.5 -0.3
H -3.652 0.590 -0.635 0.5 -0.1 -0.2
O -1.388 -1.184 -1.364 0.9 -0.6 0.3
H -0.763 -0.984 -0.613 -0.7 0.0 0.0
H -1.157 -3.724 0.980 0.1 0.3 -0.2
```
Forces are in eV/Å.

=====

Molecular formula: C27H31NO4OsP2S
Method: DFT, ωB97M-V/def2-TZVPD

## Properties
HOMO-LUMO gap (alpha / beta), eV: 2.6 / 2.8
Spin multiplicity: 5
Net charge: +2

```
67
Properties=species:S:1:pos:R:3:forces:R:3
C 0.468 -4.930 -1.218 0.2 -1.0 0.7
C 0.195 -3.598 -1.467 0.7 0.7 -0.4
C -1.174 -3.207 -1.284 -2.3 -0.1 0.0
C -2.039 -3.844 -0.280 1.2 -0.4 0.1
C -1.441 -5.010 0.303 -2.2 0.8 0.5
C -0.345 -5.639 -0.319 1.9 -0.1 -1.4
C -3.330 -3.254 -0.032 0.9 1.0 1.0
C -3.577 -1.995 -0.660 0.4 0.9 -0.4
C -2.623 -1.517 -1.662 -1.3 -1.5 0.6
C -2.743 -0.208 -2.235 1.2 0.4 -0.6
C -4.016 0.332 -2.292 -0.9 0.5 0.6
C -4.988 -0.114 -1.383 0.3 0.9 -1.2
C -4.667 -1.097 -0.430 -0.3 -1.3 0.6
H 1.342 -5.375 -1.703 -0.2 -0.1 0.5
H -1.895 -5.514 1.171 0.0 0.3 -0.6
H -0.061 -6.684 -0.121 -0.4 0.6 0.2
H -3.955 -3.564 0.842 0.5 0.0 -1.1
H -4.201 1.148 -3.005 -0.1 -0.3 0.6
H -5.982 0.349 -1.454 0.5 -0.3 0.5
H -5.333 -1.229 0.435 0.3 -0.2 -0.5
N -1.668 -2.316 -2.145 2.1 1.4 1.0
Os 1.208 0.783 -0.049 -3.5 -1.8 -1.5
C 1.252 -2.663 -2.039 -0.1 -0.1 -0.1
H 0.935 -2.292 -3.024 0.0 0.0 0.2
H 2.148 -3.293 -2.135 -0.1 0.3 -0.4
C -1.565 0.516 -2.867 -1.1 -0.1 -0.3
H -1.193 -0.073 -3.721 0.2 0.0 0.4
H -2.014 1.436 -3.267 0.3 -0.2 -0.2
P 2.061 -1.201 -1.051 0.1 0.0 1.6
P -0.071 1.230 -1.885 -1.2 0.6 -0.9
C -0.728 2.887 -1.426 -0.2 -0.2 0.0
H 0.036 3.445 -0.871 -0.1 0.0 -0.1
H -1.014 3.453 -2.320 0.2 -0.1 0.0
H -1.596 2.773 -0.768 0.2 -0.1 0.0
C 1.143 1.653 -3.214 -0.4 -0.3 -0.1
H 0.784 2.502 -3.808 0.0 -0.2 0.1
H 2.107 1.919 -2.759 -0.3 0.0 -0.1
H 1.283 0.794 -3.879 0.1 0.1 0.0
C 2.765 -2.236 0.299 0.0 0.3 -0.4
H 3.398 -3.018 -0.138 0.0 0.1 0.2
H 3.325 -1.594 0.992 -0.1 -0.3 -0.2
H 1.931 -2.702 0.839 0.2 0.1 -0.1
C 3.458 -0.559 -2.001 0.2 -0.5 -0.6
H 3.882 0.318 -1.493 -0.2 -0.4 0.0
H 4.208 -1.349 -2.072 0.2 0.1 -0.2
H 3.138 -0.261 -3.002 0.1 -0.1 0.1
C 2.620 1.777 0.655 5.0 3.2 3.7
O 3.458 2.527 1.013 -2.8 -2.6 -1.6
H 0.947 -0.697 0.378 0.0 -0.5 0.6
C 3.037 4.342 4.628 0.0 0.0 0.2
C 1.835 3.613 4.109 -0.1 0.1 -0.3
C 0.948 4.247 3.228 0.0 -0.2 0.1
C -0.129 3.537 2.698 0.6 0.0 -0.2
C -0.267 2.183 2.999 0.0 0.5 0.1
C 0.534 1.579 3.965 0.3 0.0 -0.2
C 1.604 2.287 4.497 0.0 0.2 -0.1
S -1.448 1.230 2.102 -0.3 0.9 1.5
O -2.228 0.518 3.085 0.2 -0.4 -0.9
O -2.150 2.139 1.220 0.0 -0.4 -0.3
O -0.562 0.278 1.305 0.6 -0.1 -0.8
H 3.700 4.659 3.811 -0.2 0.0 0.2
H 2.715 5.230 5.187 0.3 -0.2 -0.1
H 3.593 3.672 5.292 0.0 0.3 0.0
H 1.127 5.289 2.926 -0.2 -0.5 0.3
H -0.837 4.010 2.029 0.1 0.0 -0.1
H 0.344 0.562 4.281 0.0 -0.1 -0.1
H 2.311 1.817 5.190 -0.5 0.1 -0.2
```
Forces are in eV/Å.

=====

Molecular formula: Br5Hf
Method: DFT, ωB97M-V/def2-TZVPD

## Properties
HOMO-LUMO gap, eV: 7.4
Net charge: -1

```
6
Properties=species:S:1:pos:R:3:forces:R:3
Hf -0.098 0.578 0.108 0.9 -4.6 -0.7
Br -2.114 -0.640 1.752 1.4 1.4 -1.1
Br 1.787 0.326 2.256 -1.6 0.7 -1.5
Br -2.127 0.599 -2.061 1.6 0.4 1.7

Work order >
Could you duplicate all of the data above without additions?

Reply >
Molecular formula: H17O9
Method: DFT, ωB97M-V/def2-TZVPD

## Properties
HOMO-LUMO gap, eV: 9.5
Net charge: -1

```
26
Properties=species:S:1:pos:R:3:forces:R:3
O -0.293 -4.100 0.799 0.2 -0.5 0.2
H -0.306 2.222 -1.378 0.3 -0.2 0.2
H -1.591 1.230 1.862 -0.4 -0.2 -0.2
O 1.308 3.096 -0.501 0.3 0.3 -0.5
H 1.987 2.382 -0.413 -0.4 0.0 0.4
O 0.666 -0.752 0.249 -0.1 0.2 0.5
H 0.425 -0.952 1.161 -0.2 -0.2 -0.1
H -0.120 0.736 -1.010 0.0 0.0 0.2
O 3.001 -1.650 -1.768 -0.1 0.8 0.9
H 1.410 0.122 0.471 1.0 0.0 -0.5
H 3.617 -1.301 -1.106 0.6 -0.4 -0.3
O -1.844 1.013 2.765 0.4 0.1 0.6
H 0.283 -3.398 0.475 -0.3 0.3 0.0
H 2.261 -1.147 -1.388 -0.6 -0.4 -0.4
O 2.402 0.925 0.620 -0.6 -0.4 0.2
H -0.675 -1.525 -1.923 -0.6 -0.2 -0.5
H 2.326 1.075 1.571 0.3 0.2 -0.2
O -0.777 1.378 -1.305 0.0 0.8 -0.4
H -2.652 0.499 2.707 0.0 0.1 -0.4
H 0.849 3.018 0.338 0.0 0.0 0.1
O -3.093 1.133 -0.077 -0.2 0.5 0.7
H -2.223 1.299 -0.517 -0.5 -0.5 -0.3
H -3.652 0.590 -0.635 0.5 -0.1 -0.2
O -1.388 -1.184 -1.364 0.9 -0.6 0.3
H -0.763 -0.984 -0.613 -0.7 0.0 0.0
H -1.157 -3.724 0.980 0.1 0.3 -0.2
```
Forces are in eV/Å.

=====

Molecular formula: C27H31NO4OsP2S
Method: DFT, ωB97M-V/def2-TZVPD

## Properties
HOMO-LUMO gap (alpha / beta), eV: 2.6 / 2.8
Spin multiplicity: 5
Net charge: +2

```
67
Properties=species:S:1:pos:R:3:forces:R:3
C 0.468 -4.930 -1.218 0.2 -1.0 0.7
C 0.195 -3.598 -1.467 0.7 0.7 -0.4
C -1.174 -3.207 -1.284 -2.3 -0.1 0.0
C -2.039 -3.844 -0.280 1.2 -0.4 0.1
C -1.441 -5.010 0.303 -2.2 0.8 0.5
C -0.345 -5.639 -0.319 1.9 -0.1 -1.4
C -3.330 -3.254 -0.032 0.9 1.0 1.0
C -3.577 -1.995 -0.660 0.4 0.9 -0.4
C -2.623 -1.517 -1.662 -1.3 -1.5 0.6
C -2.743 -0.208 -2.235 1.2 0.4 -0.6
C -4.016 0.332 -2.292 -0.9 0.5 0.6
C -4.988 -0.114 -1.383 0.3 0.9 -1.2
C -4.667 -1.097 -0.430 -0.3 -1.3 0.6
H 1.342 -5.375 -1.703 -0.2 -0.1 0.5
H -1.895 -5.514 1.171 0.0 0.3 -0.6
H -0.061 -6.684 -0.121 -0.4 0.6 0.2
H -3.955 -3.564 0.842 0.5 0.0 -1.1
H -4.201 1.148 -3.005 -0.1 -0.3 0.6
H -5.982 0.349 -1.454 0.5 -0.3 0.5
H -5.333 -1.229 0.435 0.3 -0.2 -0.5
N -1.668 -2.316 -2.145 2.1 1.4 1.0
Os 1.208 0.783 -0.049 -3.5 -1.8 -1.5
C 1.252 -2.663 -2.039 -0.1 -0.1 -0.1
H 0.935 -2.292 -3.024 0.0 0.0 0.2
H 2.148 -3.293 -2.135 -0.1 0.3 -0.4
C -1.565 0.516 -2.867 -1.1 -0.1 -0.3
H -1.193 -0.073 -3.721 0.2 0.0 0.4
H -2.014 1.436 -3.267 0.3 -0.2 -0.2
P 2.061 -1.201 -1.051 0.1 0.0 1.6
P -0.071 1.230 -1.885 -1.2 0.6 -0.9
C -0.728 2.887 -1.426 -0.2 -0.2 0.0
H 0.036 3.445 -0.871 -0.1 0.0 -0.1
H -1.014 3.453 -2.320 0.2 -0.1 0.0
H -1.596 2.773 -0.768 0.2 -0.1 0.0
C 1.143 1.653 -3.214 -0.4 -0.3 -0.1
H 0.784 2.502 -3.808 0.0 -0.2 0.1
H 2.107 1.919 -2.759 -0.3 0.0 -0.1
H 1.283 0.794 -3.879 0.1 0.1 0.0
C 2.765 -2.236 0.299 0.0 0.3 -0.4
H 3.398 -3.018 -0.138 0.0 0.1 0.2
H 3.325 -1.594 0.992 -0.1 -0.3 -0.2
H 1.931 -2.702 0.839 0.2 0.1 -0.1
C 3.458 -0.559 -2.001 0.2 -0.5 -0.6
H 3.882 0.318 -1.493 -0.2 -0.4 0.0
H 4.208 -1.349 -2.072 0.2 0.1 -0.2
H 3.138 -0.261 -3.002 0.1 -0.1 0.1
C 2.620 1.777 0.655 5.0 3.2 3.7
O 3.458 2.527 1.013 -2.8 -2.6 -1.6
H 0.947 -0.697 0.378 0.0 -0.5 0.6
C 3.037 4.342 4.628 0.0 0.0 0.2
C 1.835 3.613 4.109 -0.1 0.1 -0.3
C 0.948 4.247 3.228 0.0 -0.2 0.1
C -0.129 3.537 2.698 0.6 0.0 -0.2
C -0.267 2.183 2.999 0.0 0.5 0.1
C 0.534 1.579 3.965 0.3 0.0 -0.2
C 1.604 2.287 4.497 0.0 0.2 -0.1
S -1.448 1.230 2.102 -0.3 0.9 1.5
O -2.228 0.518 3.085 0.2 -0.4 -0.9
O -2.150 2.139 1.220 0.0 -0.4 -0.3
O -0.562 0.278 1.305 0.6 -0.1 -0.8
H 3.700 4.659 3.811 -0.2 0.0 0.2
H 2.715 5.230 5.187 0.3 -0.2 -0.1
H 3.593 3.672 5.292 0.0 0.3 0.0
H 1.127 5.289 2.926 -0.2 -0.5 0.3
H -0.837 4.010 2.029 0.1 0.0 -0.1
H 0.344 0.562 4.281 0.0 -0.1 -0.1
H 2.311 1.817 5.190 -0.5 0.1 -0.2
```
Forces are in eV/Å.

=====

Molecular formula: Br5Hf
Method: DFT, ωB97M-V/def2-TZVPD

## Properties
HOMO-LUMO gap, eV: 7.4
Net charge: -1

```
6
Properties=species:S:1:pos:R:3:forces:R:3
Hf -0.098 0.578 0.108 0.9 -4.6 -0.7
Br -2.114 -0.640 1.752 1.4 1.4 -1.1
Br 1.787 0.326 2.256 -1.6 0.7 -1.5
Br -2.127 0.599 -2.061 1.6 0.4 1.7